Build A Classroom Community Through Singing

5 Min Read  •  Music

I have found one of the best ways to build community in a classroom is by singing together.  There is something magical about the bond that forms when our voices melt together and become one.  And when you stop to think about it, singing as an ensemble, or group, encompasses three of the 4 C’s of Learning: communicating, creativity, and collaboration all at once.

If you attended EducationCloset’s Winter Conference last February, and were lucky enough to hear keynote speaker Dan Pink, he shared his thoughts on the importance of problem solving, dispelled myths about right/left brain function, and praised the benefits of arts programs (more specifically singing with a group) for future business practices, then you might agree with me.  I believe he was describing this exact scenario:  when we work as a collective group to achieve a common goal, we forget about ourselves and we move to a higher level of deeper connection.

Disclaimer:  Yes, I am a very well-practiced musician (instrumentalist), but have little training in singing.  The song you are about to experience is accessible to everyone.  I promise!

A Warm Welcome

As the new year starts up again, I would like to share an idea for you to try with your students as an icebreaker.  There is a wonderful Liberian Welcoming Song entitled: “Funga Alafia.”  Here is a link to a Kennedy Center Performance describing the history of the song. The rhythmic feel is quite joyful and energetic.  The words are repeated over and over, thus making it easy to retain for students.

Funga Alafia, Ashe – ashe

Funga Alafia, Ashe – ashe

Ashe – ashe, Ashe – ashe

Funga Alafia, Ashe – ashe

I use this song often with my primary students. And I have to admit, I love finding them singing it as they work independently or as groups.  Even after their first exposure to the song!  Recently I had a student run up to me in the hallway and start singing…  I taught this song to her class when she was in kindergarten.  She is now in second grade.  Trust me, this song sticks!

Below is a video showing one of my kindergarten classes learning the song for the first time last year:

This song is not just about singing; it is the gestures or movements that provide the deeper connection.  The gestures I use with my students go like this:

  1. Touch your head and extend your arms outward in front of you

– Meaning:  We greet you with our positive thoughts

  1. Touch the sides of your mouth and extend your arms outward in front of you

– Meaning: We greet you with our kind words

  1. Touch your heart and extend your arms outward in front of you

– Meaning: We greet you with our loving heart

  1. With your left arm extended foreword (palm up), touch inside of your elbow with your right hand and brush forward 2 times.  Then reverse:  with your right arm extended forward (palm up), touch the inside of your elbow with your left hand and brush forward 2 times.

– Meaning:  We have nothing up our sleeves/we come in peace.

There are countless versions of this song along with different interpretations of the movements.  (Go ahead, Google it!)  Once you have found the version you feel comfortable with, I encourage you to create your own gestures and meanings with your students.  Here is a link to my favorite recorded version of the song which I use almost daily.

Time to move

[Quantum chemistry results that have nothing to do with the article]
-- begin --
(1)
# BF4H18O9

A cluster of 10 separate species, BF4H18O9 in total in a non-equilibrium geometry (ωB97M-V/def2-TZVPD, OMol25).

XYZ file:
```
32
Properties=species:S:1:pos:R:3:forces:R:3
B 0.72778 0.16190 -0.20007 0.018 -3.865 0.793
F 1.68256 0.60676 0.67076 1.008 1.369 1.084
F 0.89159 -1.22555 -0.26558 0.390 -0.601 -0.734
F -0.48568 0.31874 0.38372 -2.361 1.324 0.585
F 0.78650 0.72436 -1.42853 0.001 1.370 -1.246
O 1.77143 0.89073 3.50767 0.040 0.578 0.252
H 0.95364 0.39573 3.55695 -0.323 -0.262 0.081
H 1.97982 0.91755 2.57382 0.136 -0.289 -0.450
O 0.61559 -1.38835 -3.22499 -0.413 0.133 -0.448
H 0.47390 -2.24064 -2.81298 0.016 -0.261 0.152
H 1.16557 -0.91024 -2.60437 0.168 0.045 0.131
O -2.73270 -0.18989 3.09339 -0.055 0.190 0.316
H -2.65420 0.43732 2.37459 -0.028 0.111 -0.219
H -1.98668 -0.77890 2.98048 0.084 -0.314 -0.107
O -2.31256 0.02350 -2.90594 -0.135 0.503 0.500
H -1.38631 -0.21199 -2.95924 0.705 -0.404 -0.190
H -2.75520 -0.61569 -3.46429 -0.178 -0.075 -0.128
O -1.63043 2.60572 -1.38873 -0.090 0.988 0.706
H -1.85506 1.68857 -1.54557 -0.529 -1.211 -0.315
H -0.67345 2.62360 -1.39926 0.774 0.070 -0.398
O -2.85698 -2.21630 0.26139 0.024 -0.175 0.154
H -3.56642 -2.09691 -0.37002 -0.200 0.017 -0.125
H -2.21951 -1.53837 0.03715 0.268 0.191 -0.084
O 3.44798 1.40528 -0.99940 0.471 0.396 -0.462
H 2.53992 1.10555 -0.95674 0.412 0.143 -0.234
H 3.74677 1.39591 -0.09008 0.104 -0.091 0.105
O -0.07740 2.69974 1.33477 -0.953 0.492 0.345
H 0.09023 2.10267 0.60563 -0.199 -0.978 -0.418
H 0.78221 3.06040 1.55211 0.832 0.580 0.350
O 1.70143 -3.60110 1.32124 -0.046 -0.322 0.190
H 1.28856 -2.92043 0.78977 -0.143 0.291 -0.226
H 2.54715 -3.22962 1.57222 0.201 0.058 0.042
```
Positions in Å, forces in eV/Å.

Spin multiplicity ... 2
E_tot ... -30267.6203 eV
Net charge ... 0
E_HOMO (spin up / spin down) ... -11.0570 / -11.0567 eV
Kohn-Sham gap (spin up / spin down) ... 0.38274 / 0.10674 hartree



(2)
# C32H28FeNS

A structure of composition C32H28FeNS in a non-equilibrium geometry (ωB97M-V/def2-TZVPD, OMol25).

XYZ file:
```
63
Properties=species:S:1:pos:R:3:forces:R:3
C 1.33403 -2.77302 3.52657 0.009 0.561 -0.166
N 1.17748 -1.32405 3.42750 1.089 -0.092 0.239
C 2.31313 -0.46707 3.36967 -0.941 -0.375 -0.350
C 1.95725 0.88411 3.32360 -0.342 -0.649 0.068
C 2.91406 1.86768 3.16415 -0.520 0.006 0.117
C 4.23893 1.50243 3.04015 0.351 -0.183 -0.005
C 4.60431 0.16364 3.09327 0.140 0.464 0.046
C 3.65670 -0.82174 3.26695 -0.747 -0.495 0.145
S 0.21171 1.04157 3.47128 0.455 0.875 -0.148
C -0.05879 -0.68747 3.35193 -0.481 -0.410 -0.178
C -1.28410 -1.25386 3.15597 1.379 0.277 0.156
C -2.52513 -0.51188 3.14506 -0.528 0.504 0.010
C -2.65712 0.69693 3.84384 0.171 -0.595 -0.074
C -3.83066 1.40818 3.82102 -0.283 0.195 -0.083
C -4.90665 0.93938 3.09324 -0.239 0.188 0.037
C -4.80495 -0.24920 2.39460 -0.131 -0.040 -0.003
C -3.63475 -0.97320 2.42230 0.521 -0.022 0.143
H 0.37466 -3.26468 3.66662 -0.013 0.204 -0.015
H 1.79518 -3.15777 2.62018 0.027 -0.159 -0.143
-- stop --

Once the song and gestures have been taught to the students, we start loco-motoring through the general space of the classroom.  I always discuss the importance of keeping our bodies within our self-space before we attempt moving around the open areas of the classroom.  (In case you are not familiar with the elements of dance, you can find articles here and here at to help you along!)

We start by listening to the song and finding the steady beat with our feet while standing stationary in a circle.  This allows me to see all of my students clearly.  It also allows me to get to anyone who might need extra modeling.  (Note: Is it just me, or is there something special about building community and connectedness while standing in the form of a circle?) Occasionally, I duplicate the beat with a drum to create emphasis.  Once the students are demonstrating the “beat in your feet”, I allow them to begin traveling (locomotion) safely around the general space, always keeping an eye out and correcting anyone not maintaining their personal space.

As soon as they have shown me they can keep the beat and stay in their self-space, we add the music, gestures, AND singing.  Oh boy, those brains are running on all cylinders about now.  Don’t give up if you students aren’t able to process all of these events at the same time!  It is a lot to ask of their brains when they haven’t done this before.  If necessary, encourage them to focus on one or two things at a time.  For example, just have the student walk in place to the beat and sing, or ask them to stand in place and perform the gestures and sing.  Eventually, they will be joining in on all levels of activity.

Sharing With Others

Congratulations!  You have created your very own classroom custom of greeting.  Just think of the community of learners you have established for the rest of the year.  Now, take that feeling of connectedness to the rest of the school.  Perhaps your students can teach this song of greeting to another class, perform it to welcome visitors, or at assemblies.  You may just start a trend.

Here’s to the start of a great new year – enjoy!